The advice given on this site is based upon individual or quoted experience, yours may differ.
The Officers, Staff and members of this site only provide information based upon the concept that anyone utilizing this information does so at their own risk and holds harmless all contributors to this site.
With the variety of mounts in use, can anyone comfortably slip a flush cup over the water intake on an XLS? Its a real pain reaching over from the boarding ladder or reaching it at all from most docks on my Merc. I will happily spring for a new one to make my life safer and easier. I would like to know the brand, model and lift height if anyone has something that works.
Dave B. aboard Pearl 1982 TR/SK/Trad. #3399 Lake Erie/Florida Panhandle
Another solution is to use a bucket. You can get the bucket on over the lower leg with a boat hook then just put a hose in the bucket. Do this with the motor in the up position but not tilted. Attach a line to the bucket handle so the bucket will stay in place.
CaNpH7O8, optimized geometry, DFT GGA-PBE; ΔE_f = -1998 meV/atom; space group = P2_1/c, No. 14; total moment = 0.0 μB per cell
1.0
-5.371 5.588 1.572
-6.096 -4.726 -4.031
-0.355 -6.993 8.736
Ca Np H O
4 4 28 32
direct
0.108 0.392 0.375 Ca
0.608 0.108 0.875 Ca
0.892 0.608 0.625 Ca
0.392 0.892 0.125 Ca
0.756 0.133 0.262 Np
0.256 0.367 0.762 Np
0.244 0.867 0.738 Np
0.744 0.633 0.238 Np
0.940 0.866 0.390 H
0.440 0.634 0.890 H
0.060 0.134 0.610 H
0.560 0.366 0.110 H
0.355 0.147 0.539 H
0.855 0.353 0.039 H
0.645 0.853 0.461 H
0.145 0.647 0.961 H
0.394 0.139 0.407 H
0.894 0.361 0.907 H
0.606 0.861 0.593 H
0.106 0.639 0.093 H
0.300 0.660 0.512 H
0.800 0.840 0.012 H
0.700 0.340 0.488 H
0.200 0.160 0.988 H
0.418 0.629 0.418 H
0.918 0.871 0.918 H
0.582 0.371 0.582 H
0.082 0.129 0.082 H
0.220 0.360 0.147 H
0.720 0.140 0.647 H
0.780 0.640 0.853 H
0.280 0.860 0.353 H
0.406 0.391 0.233 H
0.906 0.109 0.733 H
0.594 0.609 0.767 H
0.094 0.891 0.267 H
0.870 0.211 0.422 O
0.370 0.289 0.922 O
0.130 0.789 0.578 O
0.630 0.711 0.078 O
0.950 0.208 0.210 O
0.450 0.292 0.710 O
0.050 0.792 0.790 O
0.550 0.708 0.290 O
0.637 0.063 0.100 O
0.137 0.437 0.600 O
0.363 0.937 0.900 O
0.863 0.563 0.400 O
0.562 0.058 0.316 O
0.062 0.442 0.816 O
0.438 0.942 0.684 O
0.938 0.558 0.184 O
0.885 0.880 0.302 O
0.385 0.620 0.802 O
0.115 0.120 0.698 O
0.615 0.380 0.198 O
0.321 0.189 0.455 O
0.821 0.311 0.955 O
0.679 0.811 0.545 O
0.179 0.689 0.045 O
0.312 0.598 0.442 O
0.812 0.902 0.942 O
0.688 0.402 0.558 O
0.188 0.098 0.058 O
0.279 0.393 0.230 O
0.779 0.107 0.730 O
0.721 0.607 0.770 O
0.221 0.893 0.270 O

***

CaNpH9O9, optimized geometry, DFT GGA-PBE; ΔE_f = -1903 meV/atom; space group = P-1, No. 2; total moment = 0.0 μB per cell
1.0
-3.472 -4.989 -2.364
-3.015 -3.414 6.699
-8.192 2.174 -0.947
Ca Np H O
2 2 18 18
direct
0.178 0.286 0.872 Ca
0.822 0.714 0.128 Ca
0.500 0.500 0.000 Np
0.500 0.500 0.500 Np
0.792 0.558 0.665 H
0.208 0.442 0.335 H
0.925 0.287 0.237 H
0.075 0.713 0.763 H
0.105 0.124 0.244 H
0.895 0.876 0.756 H
0.068 0.155 0.598 H
0.932 0.845 0.402 H
0.827 0.227 0.726 H
0.173 0.773 0.274 H
0.176 0.930 0.846 H
0.824 0.070 0.154 H
0.356 0.903 0.937 H
0.644 0.097 0.063 H
0.664 0.041 0.593 H
0.336 0.959 0.407 H
0.647 0.847 0.640 H
0.353 0.153 0.360 H
0.485 0.725 0.050 O
0.515 0.275 0.950 O
0.801 0.455 0.994 O
0.199 0.545 0.006 O
0.796 0.462 0.342 O
0.204 0.538 0.658 O
0.526 0.273 0.601 O
0.474 0.727 0.399 O
0.628 0.581 0.703 O
0.372 0.419 0.297 O
0.016 0.186 0.173 O
0.984 0.814 0.827 O
0.987 0.213 0.704 O
0.013 0.787 0.296 O
0.285 0.986 0.865 O
0.715 0.014 0.135 O
0.754 0.926 0.594 O
0.246 0.074 0.406 O

***

Ca3H2O6, optimized geometry, DFT GGA-PBE; ΔE_f = -2082 meV/atom; space group = C2/m, No. 12; total moment = 0.0 μB per cell
1.0
2.168 5.676 0.000
-2.168 5.676 0.000
0.000 2.333 5.642
Ca H O
3 2 6
direct
0.000 0.000 0.000 Ca
0.688 0.688 0.285 Ca
0.312 0.312 0.715 Ca
0.179 0.179 0.438 H
0.821 0.821 0.562 H
0.616 0.616 0.982 O
0.126 0.126 0.611 O
0.874 0.874 0.389 O
## The page goes on
Scott-"IMPULSE"87'C25/SR/WK/Din.#5688 Sailing out of Glen Cove,L.I Sound
That sounds good. Now I just have to find a bucket of manageable size that accommodates my 10" prop that will certainly be a lot cheaper than the !5 1/2" lift bracket i found for $362.
Dave B. aboard Pearl 1982 TR/SK/Trad. #3399 Lake Erie/Florida Panhandle
Dave, If a standard 10gal white bucket won't fit then a rope handle bucket should do. I should mention that after you put the bucket on you lower the engine so the bucket is half submerged. This way the surrounding sea water supports the weight of the bucket with water in it then tie the line to the back rail. Needless to say, Don't put the engine in gear.
Scott-"IMPULSE"87'C25/SR/WK/Din.#5688 Sailing out of Glen Cove,L.I Sound
(The piece is interrupted by crystal structures)
~~~
(1)
{
  "formula": "LiCr4In4O12",
  "functional": "GGA+U",
  "state": "relaxed",
  "lattice": [[5.321, -0.028, 0.125], [-0.027, 5.480, -0.046], [0.182, -0.070, 8.075]],
  "species": ["Li", "O", "O", "O", "O", "O", "In", "O", "O", "Cr", "Cr", "In", "O", "O", "O", "O", "In", "Cr", "In", "O", "Cr"],
  "frac_coords": [[0.351, 0.397, 0.055], [0.158, 0.426, 0.264], [0.783, 0.789, 0.073], [0.209, 0.216, 0.587], [0.703, 0.317, 0.447], [0.669, 0.285, 0.090], [0.493, 0.456, 0.719], [0.873, 0.587, 0.723], [0.820, 0.819, 0.423], [0.507, 0.014, 0.500], [0.018, 0.508, 0.495], [0.983, 0.058, 0.227], [0.623, 0.071, 0.753], [0.162, 0.153, 0.956], [0.309, 0.666, 0.918], [0.319, 0.710, 0.557], [0.549, 0.579, 0.287], [0.953, 0.487, 0.981], [0.018, 0.951, 0.748], [0.371, 0.935, 0.253], [0.492, 0.972, 0.001]],
  "formation_enthalpy_0k_ev_per_atom": -1.986,
  "magmom_total_mub_per_cell": 12.998,
  "energy_corrected_mp2020_ry_per_atom": -0.5341
}

(2)
{
  "formula": "LiCr4In4O12",
  "functional": "GGA+U",
  "state": "relaxed",
  "lattice": [[5.222, 0.053, -0.001], [0.055, 5.616, -0.001], [-0.001, -0.001, 7.939]],
  "species": ["Cr", "Cr", "O", "In", "O", "O", "In", "O", "O", "O", "O", "In", "O", "Li", "Cr", "O", "O", "O", "O", "In", "Cr"],
  "frac_coords": [[0.499, 0.994, 0.513], [0.003, 0.496, 0.501], [0.807, 0.799, 0.430], [0.554, 0.611, 0.250], [0.144, 0.438, 0.250], [0.192, 0.196, 0.573], [0.475, 0.437, 0.750], [0.301, 0.694, 0.574], [0.807, 0.799, 0.070], [0.688, 0.300, 0.422], [0.638, 0.066, 0.750], [0.030, 0.934, 0.750], [0.350, 0.937, 0.251], [0.430, 0.232, 0.250], [0.499, 0.994, 0.987], [0.191, 0.196, 0.927], [0.301, 0.694, 0.926], [0.688, 0.300, 0.078], [0.869, 0.561, 0.750], [0.956, 0.064, 0.250], [0.003, 0.496, 0.999]],
  "formation_enthalpy_0k_ev_per_atom": -1.976,
  "magmom_total_mub_per_cell": 12.894,
  "energy_corrected_mp2020_ry_per_atom": -0.5334
}

(3)
{
  "formula": "LiCr4In4O12",
  "functional": "GGA+U",
  "state": "relaxed",
  "lattice": [[-1.509, 0.783, 4.931], [1.071, -5.292, 1.263], [7.558, 2.130, 2.108]],
  "species": ["Li", "Cr", "O", "Cr", "O", "In", "Cr", "O", "O", "In", "In", "O", "O", "O", "In", "O", "O", "Cr", "O", "O", "O"],
  "frac_coords": [[0.368, 0.226, 0.350], [0.995, 0.490, 0.503], [0.654, 0.077, 0.776], [0.528, 0.965, 0.534], [0.864, 0.566, 0.750], [0.039, 0.941, 0.753], [0.495, 0.015, 0.996], [0.339, 0.953, 0.223], [0.294, 0.684, 0.579], [0.471, 0.438, 0.750], [0.531, 0.603, 0.237], [0.204, 0.192, 0.571], [0.145, 0.444, 0.251], [0.704, 0.278, 0.429], [0.940, 0.059, 0.247], [0.701, 0.307, 0.082], [0.798, 0.769, 0.414], [0.000, 0.506, 0.997], [0.793, 0.803, 0.069], [0.205, 0.220, 0.918], [0.296, 0.715, 0.921]],
  "formation_enthalpy_0k_ev_per_atom": -1.989,
  "magmom_total_mub_per_cell": 13.007,
  "energy_corrected_mp2020_ry_per_atom": -0.5343
}

(4)
{
  "formula": "CrInO3",
  "functional": "GGA+U",
  "state": "relaxed",
  "lattice": [[-4.087, 3.235, -0.607], [-3.415, -4.214, 0.531], [-0.227, 1.147, 7.641]],
~~~
What about a sizable rectangular plastic storage container that the motor might be able to hold against the transom when partially lowered? Maybe there'd be no big reaching or even tying off--just more fresh water to partially fill it.
Dave Bristle Association "Port Captain" for Mystic/Stonington CT PO of 1985 C-25 SR/FK #5032 Passage, USCG "sixpack" (expired), Now on Eastern 27 $+!nkp*+ Sarge
Here the article breaks off for calculated crystals:
'''
This record from Materials Project describes a geometry-optimized CeFeSi2 structure. The functional is GGA-PBE.

symmetry = Cmcm
ΔE_f = -0.59 eV/atom

The structure in POSCAR format:
```
CeFeSi2
1.0
-4.9247 4.3561 -5.5519
1.3325 -6.1489 5.8708
-1.0166 2.5536 2.9053
Si Fe Ce
4 2 2
direct
0.0401 0.9599 0.7500 Si
0.2502 0.7498 0.2500 Si
0.7498 0.2502 0.7500 Si
0.9599 0.0401 0.2500 Si
0.8247 0.1753 0.2500 Fe
0.1753 0.8247 0.7500 Fe
0.6106 0.3894 0.2500 Ce
0.3894 0.6106 0.7500 Ce
```



This record from Materials Project describes a geometry-optimized CeFeSi2 structure. The functional is GGA-PBE.

symmetry = Cmcm
ΔE_f = -0.65 eV/atom

The structure in POSCAR format:
```
CeFeSi2
1.0
2.0361 -8.2514 0.0000
2.0361 8.2514 0.0000
0.0000 0.0000 4.0224
Si Fe Ce
4 2 2
direct
0.9635 0.0365 0.2500 Si
0.0365 0.9635 0.7500 Si
0.8147 0.1853 0.2500 Si
0.1853 0.8147 0.7500 Si
0.7497 0.2503 0.7500 Fe
0.2503 0.7497 0.2500 Fe
0.3902 0.6098 0.7500 Ce
0.6098 0.3902 0.2500 Ce
```



This record from Materials Project describes a geometry-optimized Ce3Ti6Fe23 structure. The functional is GGA-PBE.

symmetry = C2/m
ΔE_f = -0.11 eV/atom

The structure in POSCAR format:
```
Ce3Ti6Fe23
1.0
4.8922 4.3188 -0.5315
4.8922 -4.3188 -0.5315
-0.0963 0.0000 -10.5767
Fe Ti Ce
23 6 3
direct
0.1266 0.6923 0.7989 Fe
0.5000 0.5000 0.5000 Fe
0.3077 0.8734 0.2011 Fe
0.1693 0.4602 0.6192 Fe
0.6871 0.1850 0.4072 Fe
0.4602 0.1693 0.6192 Fe
0.0000 0.5000 0.0000 Fe
0.5398 0.8307 0.3808 Fe
0.4094 0.9067 0.7964 Fe
0.8150 0.3129 0.5928 Fe
0.7291 0.7291 0.8871 Fe
0.9070 0.9070 0.2959 Fe
0.6923 0.1266 0.7989 Fe
0.1850 0.6871 0.4072 Fe
0.8307 0.5398 0.3808 Fe
0.5906 0.0933 0.2036 Fe
0.0930 0.0930 0.7041 Fe
0.0933 0.5906 0.2036 Fe
0.2709 0.2709 0.1129 Fe
0.5000 0.0000 0.0000 Fe
0.8734 0.3077 0.2011 Fe
0.9067 0.4094 0.7964 Fe
0.3129 0.8150 0.5928 Fe
0.4693 0.4693 0.2627 Ti
0.7181 0.7181 0.1386 Ti
0.6543 0.3457 0.0000 Ti
0.2819 0.2819 0.8614 Ti
0.5307 0.5307 0.7373 Ti
0.3457 0.6543 0.0000 Ti
0.0000 0.0000 0.0000 Ce
0.1720 0.1720 0.4067 Ce
0.8280 0.8280 0.5933 Ce
```



This record from Materials Project describes a geometry-optimized CeTiFe11 structure. The functional is GGA-PBE.

symmetry = Imm2
ΔE_f = -0.06 eV/atom

The structure in POSCAR format:
```
CeTiFe11
1.0
-3.6844 -2.5293 1.3662
1.7568 -4.5580 4.2920
0.8997 5.1179 3.9090
Fe Ce Ti
11 1 1
direct
0.2723 0.2277 0.7723 Fe
0.4992 0.2236 0.2221 Fe
0.4992 0.7779 0.7764 Fe
0.5009 0.9992 0.5002 Fe
0.0016 0.6406 0.6438 Fe
0.5009 0.4998 0.0008 Fe
0.0001 0.9992 0.5002 Fe
0.3549 0.6451 0.3549 Fe
0.0016 0.3562 0.3594 Fe
0.7329 0.7671 0.2329 Fe
0.0001 0.4998 0.0008 Fe
0.0068 0.9932 0.0068 Ce
0.6295 0.3705 0.6295 Ti
```

~~~~~
'''
Back to the article:
Greetings I don't have a pic but I used and old metal garbage can that I chained to the motor and mount. I've a 15hp Merc. It worked nicely for testing the motor before going in for the season. Jan
Well, I've been shopping for a 15" diameter bucket and it looks like I can get it in 10 gallons and a 14" in 5 gallons that is marginal in depth. The most suitable things for small boats should have multiple functions instead of just taking up storage space. The 10 gal. bucket with a modified lid could certainly replace my trashcan. I have used garbage cans at home to test run engines, but storing on the boat rules out that and most other containers.
Dave B. aboard Pearl 1982 TR/SK/Trad. #3399 Lake Erie/Florida Panhandle
Notice: The advice given on this site is based upon individual or quoted experience, yours may differ. The Officers, Staff and members of this site only provide information based upon the concept that anyone utilizing this information does so at their own risk and holds harmless all contributors to this site.